Next, search the contents further down for the word "LiHfO" and copy each line that has it.

- - -
Computed PXRD pattern of CaCe2AlS6 for Cu Kα (λ = 1.5418 Å), from DFT lattice parameters and positions (PBE).
No peak broadening, texture or thermal motion is included.

Crystal structure
```
data_CaCe2AlS6
_symmetry_space_group_name_H-M 'P 1'
_symmetry_Int_Tables_number 1
_cell_length_a 6.4353
_cell_length_b 6.4353
_cell_length_c 6.2348
_cell_angle_alpha 90.00
_cell_angle_beta 90.00
_cell_angle_gamma 90.00
loop_
_symmetry_equiv_pos_as_xyz
'x,y,z'
loop_
_atom_site_label
_atom_site_type_symbol
_atom_site_fract_x
_atom_site_fract_y
_atom_site_fract_z
_atom_site_occupancy
Ca1 Ca 0.0000 0.0000 0.0000 1
Ce1 Ce 0.0000 0.5000 0.4394 1
Ce2 Ce 0.5000 0.0000 0.4394 1
Al1 Al 0.5000 0.5000 0.0356 1
S1 S 0.0000 0.0000 0.5740 1
S2 S 0.2641 0.2641 0.1850 1
S3 S 0.2641 0.7359 0.1850 1
S4 S 0.5000 0.5000 0.6720 1
S5 S 0.7359 0.2641 0.1850 1
S6 S 0.7359 0.7359 0.1850 1
```

Principal peaks in the range 2θ from 10° to 80°, in order of rising 2θ:
| two_theta | I_rel |
| --- | --- |
| 14.2 | 60 |
| 24.2 | 100 |
| 27.7 | 28 |
| 31.3 | 45 |
| 34.9 | 33 |
| 39.6 | 39 |
| 40.3 | 46 |
| 47.0 | 33 |

Computed PXRD pattern of Ac6Sn3H2 for Cu Kα (λ = 1.5418 Å), from DFT lattice parameters and positions (PBE).
No peak broadening, texture or thermal motion is included.

Crystal structure
```
data_Ac6Sn3H2
_symmetry_space_group_name_H-M 'P 1'
_symmetry_Int_Tables_number 1
_cell_length_a 13.9717
_cell_length_b 13.9717
_cell_length_c 13.9717
_cell_angle_alpha 158.60
_cell_angle_beta 158.60
_cell_angle_gamma 30.44
loop_
_symmetry_equiv_pos_as_xyz
'x,y,z'
loop_
_atom_site_label
_atom_site_type_symbol
_atom_site_fract_x
_atom_site_fract_y
_atom_site_fract_z
_atom_site_occupancy
Ac1 Ac 0.0818 0.5818 0.5000 1
Ac2 Ac 0.2012 0.2012 0.0000 1
Ac3 Ac 0.4182 0.9182 0.5000 1
Ac4 Ac 0.5818 0.0818 0.5000 1
Ac5 Ac 0.7988 0.7988 0.0000 1
Ac6 Ac 0.9182 0.4182 0.5000 1
Sn1 Sn 0.3272 0.3272 0.0000 1
Sn2 Sn 0.5000 0.5000 0.0000 1
Sn3 Sn 0.6728 0.6728 0.0000 1
H1 H 0.1006 0.1006 0.0000 1
H2 H 0.8994 0.8994 0.0000 1
```

Principal peaks in the range 2θ from 10° to 80°, in order of rising 2θ:
| two_theta | I_rel |
| --- | --- |
| 25.2 | 66 |
| 27.7 | 26 |
| 28.9 | 21 |
| 31.5 | 100 |
| 34.6 | 64 |
| 44.1 | 18 |
| 49.7 | 25 |
| 60.0 | 33 |

Computed PXRD pattern of ZnIn4Si for Cu Kα (λ = 1.5418 Å), from DFT lattice parameters and positions (PBE).
No peak broadening, texture or thermal motion is included.

Crystal structure
```
data_ZnIn4Si
_symmetry_space_group_name_H-M 'P 1'
_symmetry_Int_Tables_number 1
_cell_length_a 6.0527
_cell_length_b 6.0527
_cell_length_c 6.0527
_cell_angle_alpha 60.00
_cell_angle_beta 60.00
_cell_angle_gamma 60.00
loop_
_symmetry_equiv_pos_as_xyz
'x,y,z'
loop_
_atom_site_label
_atom_site_type_symbol
_atom_site_fract_x
_atom_site_fract_y
_atom_site_fract_z
_atom_site_occupancy
Zn1 Zn 0.0000 0.0000 0.0000 1
In1 In 0.1254 0.6249 0.6249 1
In2 In 0.6249 0.1254 0.6249 1
In3 In 0.6249 0.6249 0.1254 1
In4 In 0.6249 0.6249 0.6249 1
Si1 Si 0.2500 0.2500 0.2500 1
```

Principal peaks in the range 2θ from 10° to 80°, in order of rising 2θ:
| two_theta | I_rel |
| --- | --- |
| 17.9 | 49 |
| 34.8 | 100 |
| 36.4 | 69 |
| 42.2 | 21 |
| 46.2 | 13 |
| 55.8 | 33 |
| 61.3 | 32 |
| 73.4 | 25 |

Computed PXRD pattern of LiHfO for Cu Kα (λ = 1.5418 Å), from DFT lattice parameters and positions (PBE).
No peak broadening, texture or thermal motion is included.

Crystal structure
```
data_LiHfO
_symmetry_space_group_name_H-M 'P 1'
_symmetry_Int_Tables_number 1
_cell_length_a 8.3037
_cell_length_b 8.3037
_cell_length_c 8.3037
_cell_angle_alpha 22.23
_cell_angle_beta 22.23
_cell_angle_gamma 22.23
loop_
_symmetry_equiv_pos_as_xyz
'x,y,z'
loop_
_atom_site_label
_atom_site_type_symbol
_atom_site_fract_x
_atom_site_fract_y
_atom_site_fract_z
_atom_site_occupancy
Li1 Li 0.1960 0.1960 0.1960 1
Li2 Li 0.8040 0.8040 0.8040 1
Hf1 Hf 0.3826 0.3826 0.3826 1
Hf2 Hf 0.6174 0.6174 0.6174 1
O1 O 0.1108 0.1108 0.1108 1
O2 O 0.8892 0.8892 0.8892 1
```
- - -

Computed PXRD pattern of LiHfO for Cu Kα (λ = 1.5418 Å), from DFT lattice parameters and positions (PBE).